#define lua_version_major "5"
#define lua_version_minor "3"
#define lua_version_num 503
#define lua_version_release "3"
##主要位於lobject.h中,部分位於lstate.h#define commonheader gcobject *next; lu_byte tt; lu_byte marked
/*** union of all collectable objects (only for conversions)
*/union gcunion ;
以下通用定義#define lua_int32 int
#define luai_umem size_t
#define luai_mem ptrdiff_t
lua_tvalue 位於lobject.h#define lua_number_double
#define lua_number double
typedef unsigned char lu_byte;
typedef tvalue *stkid; /* index to stack elements */
typedef struct lua_tvalue tvalue;
typedef int (*lua_cfunction) (lua_state *l);
typedef unsigned lua_int32 lu_int32;
Molecular data from another source follow.
********
Entry 1:
The following is a DFT calculation (ωB97M-V/def2-TZVPD) of a structure of composition C23H35OW.

Geometry as XYZ:
```
60
Properties=species:S:1:pos:R:3
H -3.0104 -4.0271 0.3814
H -3.7081 -4.1125 -1.2478
W 0.2981 0.2247 0.4850
H -1.9084 -2.2756 -0.8543
C -1.1240 1.8078 0.5510
C -2.3670 2.0078 -0.2573
H 3.3933 -0.6108 0.2253
H 1.7082 0.4668 3.7429
C 0.1743 2.3469 0.2624
C 0.3848 -2.1186 0.6478
C -1.0726 1.2046 1.8497
C 0.0897 -1.4609 1.9058
H 0.8445 -1.5303 2.6915
H 1.5013 3.3030 -1.1564
H -3.4235 -1.7600 -1.6673
C -0.2005 -0.2145 -2.6515
C 0.4416 3.2640 -0.8828
C -2.2723 0.8278 2.6624
H 3.0270 2.3140 0.5088
H -3.0537 1.1702 -0.0816
H 2.5168 -0.8590 1.7472
H -2.8764 2.9509 0.0122
H -2.6344 1.6957 3.2420
H 0.1052 4.2850 -0.6412
H 2.4990 -1.8225 -1.9674
H -0.1232 2.9493 -1.7682
H -2.7297 -1.3526 1.0296
H 1.5302 0.5474 -5.5014
H 0.0083 0.1804 4.1549
C 2.5094 2.3519 1.4757
C 1.9913 0.6999 -2.1326
H 2.5929 3.3724 1.8825
H 3.0400 1.6552 2.1381
H 1.0598 -2.8356 -1.8390
H -0.3275 -2.8277 0.2243
C 0.7032 0.9113 3.7204
H -4.6301 -3.3518 0.0739
H -3.0928 0.5110 2.0101
C -3.0024 -2.1584 -0.7345
O -3.2487 -1.1217 0.2338
H 3.1891 1.3213 -3.8048
H 0.7024 1.7959 4.3764
C 1.0671 1.9852 1.3435
C 2.2493 0.8596 -3.4923
H 2.6024 -3.3855 -1.1510
H -0.9465 -1.4638 2.2726
H -2.1399 2.0396 -1.3280
C 0.7352 0.2271 -1.7192
C 0.2751 1.3010 2.3386
H -2.0492 0.0213 3.3725
C 0.1191 -0.1517 -4.0147
H -1.1661 -0.6007 -2.2993
H 2.7615 0.9334 -1.3931
C 2.7979 -1.3432 0.7984
C 1.6331 -1.8642 0.0166
H 3.4871 -2.1712 1.0494
C 1.3218 0.4275 -4.4385
C -3.6257 -3.4866 -0.3511
C 1.9575 -2.5078 -1.3048
H -0.5845 -0.5454 -4.7463
```

Values from the calculation:
* charge: +1
* spin multiplicity: 3
* HOMO energy (alpha / beta): -0.42161 / -0.42076 hartree
* orbital gap (alpha / beta): 7.627 / 7.190 eV
* LUMO level (alpha / beta): -3.8 / -4.3 eV
* molecular weight: 511.37 g mol⁻¹
* total energy: -28283.2934 eV
* ⟨S²⟩: 2.0113
* relative energy (zero: lowest compared OMol25 entry of this formula, charge and spin): 0.0 kJ/mol

Entry 2:
The following is a DFT calculation (ωB97M-V/def2-TZVPD) of the molecule C5H10O2.

Geometry as XYZ:
```
17
Properties=species:S:1:pos:R:3
C -2.0113 0.3115 0.4914
H -1.5169 -1.8237 0.2662
H -2.8880 0.8623 0.1275
O 0.3084 0.7895 -0.5408
H 2.4801 0.8721 0.7256
C 2.3043 -0.1073 0.2542
H -2.2077 -1.0201 -1.2916
C -1.9132 -0.9487 -0.2526
H 0.5096 -1.2405 -0.2491
H 0.3816 -0.1972 1.1970
C 0.8214 -0.2888 0.2108
C -0.9465 1.1183 -0.2049
H 2.7197 -0.9013 0.8814
H -2.0583 0.2414 1.5956
H -1.1902 2.1106 -0.5864
H 2.3507 0.4193 -1.5861
O 2.8562 -0.1976 -1.0383
```

Values from the calculation:
* charge: 0
* HOMO energy (alpha / beta): -0.28634 / -0.25496 hartree
* orbital gap (alpha / beta): 8.724 / 7.461 eV
* LUMO level (alpha / beta): 0.9 / 0.5 eV
* molecular weight: 102.13 g mol⁻¹
* total energy: -9437.5997 eV
* relative energy (zero: lowest compared OMol25 entry of this formula, charge and spin): 525.2 kJ/mol

Entry 3:
********
Here the article continues.
typedef luai_umem lu_mem;
typedef luai_mem l_mem;
typedef lu_int32 instruction;
#define tvaluefields value value_; int tt_
struct lua_tvalue ;
** union of all lua values
*/typedef union value value;
#define commonheader gcobject *next; lu_byte tt; lu_byte marked
_Molecular data, as found in the file_
********
A molecular structure, C20H40NP3SSeY in a non-equilibrium geometry. Source: the OMol25 dataset; level of theory: ωB97M-V/def2-TZVPD.

Computed properties:
HOMO energy (alpha / beta): -16.6 / -16.6 eV
Calculated total energy: -4701.737081 Eh
Relative energy (zero: lowest compared OMol25 entry of this formula, charge and spin): 45.1 kcal/mol
Total charge: +3
Frontier orbital gap (alpha / beta): 5.40 / 4.83 eV
Molecular weight: 587.40 g/mol

```
67
Properties=species:S:1:pos:R:3:forces:R:3
Y -1.22408 -0.01054 -0.53752 3.265 -0.687 2.178
P -1.04563 0.99274 2.49148 0.197 0.199 0.737
P -0.02082 2.80772 -0.34569 0.643 0.548 -0.625
P -1.00267 -2.31933 1.19230 0.382 -0.559 -0.232
H 2.42979 -1.30982 -6.01223 0.149 0.406 -0.222
C 1.55307 -1.92635 -5.95861 -2.013 -0.084 1.035
C 0.46467 -1.59747 -5.18516 1.668 -1.484 -1.843
H 0.37857 -0.66329 -4.61917 0.057 -0.406 -0.235
C 0.53123 1.12674 3.43529 0.184 -0.221 -0.470
C -1.71613 2.66474 2.85907 -0.144 0.111 -0.234
C -2.00295 0.06578 3.76063 -0.147 -0.267 -0.273
C 0.80124 2.84304 -1.99283 -0.191 -0.036 0.146
C -0.93736 4.40036 -0.41094 -0.534 -0.274 0.002
C 1.38146 3.39438 0.69026 0.014 -0.536 0.134
C -0.41940 -3.24306 -0.29624 -0.132 0.067 0.201
C -2.36741 -3.38013 1.79706 -0.199 0.316 -0.210
C 0.31323 -2.73485 2.39338 0.205 0.207 -0.105
H 1.59427 -2.85369 -6.57391 -0.231 0.805 0.666
H -0.35177 -2.33944 -5.22782 0.178 0.814 0.329
H 0.30835 1.44462 4.46773 0.209 -0.190 -0.422
H 1.20837 1.83592 2.95535 -0.110 0.055 0.181
H 1.05945 0.16655 3.41015 -0.168 0.077 0.304
H -1.75628 2.79892 3.95223 0.014 0.056 -0.428
H -2.71678 2.77314 2.43168 0.215 -0.030 0.421
H -1.10794 3.45494 2.40823 0.034 -0.125 0.212
H -1.82055 0.53264 4.73978 -0.107 -0.254 -0.278
H -1.71915 -0.99198 3.78787 0.068 0.233 0.138
H -3.07159 0.09448 3.53601 0.077 0.089 0.115
H 1.05838 3.88816 -2.20962 0.089 -0.340 -0.167
H 0.12030 2.45393 -2.76152 0.199 0.209 -0.003
H 1.69584 2.20873 -1.96727 -0.149 0.249 -0.079
H -0.20944 5.21864 -0.29117 -0.401 -0.263 -0.097
H -1.69424 4.44955 0.38425 0.275 0.188 -0.191
H -1.44179 4.49612 -1.38094 0.064 0.084 0.198
H 1.71182 4.35837 0.27022 -0.070 -0.385 0.262
H 2.20186 2.66780 0.63348 -0.088 0.291 0.117
H 1.07325 3.50389 1.73796 0.185 0.195 -0.344
H -0.52077 -4.30394 -0.04240 0.137 0.058 -0.441
H 0.62563 -3.00479 -0.53435 -0.244 -0.100 0.080
H -1.04216 -3.01165 -1.17558 0.101 -0.293 0.079
H -2.04974 -4.42831 1.68254 -0.221 0.317 0.153
H -3.26667 -3.19357 1.18792 0.211 -0.245 0.342
H -2.56959 -3.15700 2.85859 -0.010 -0.133 -0.473
H 0.45756 -3.82906 2.38211 -0.080 0.419 0.101
H 0.03009 -2.40094 3.40060 0.148 -0.176 -0.248
H 1.25313 -2.24495 2.09712 -0.279 -0.211 0.209
C 3.04945 -1.06029 -0.96011 -0.456 0.635 -0.798
C 2.82532 -0.91102 -2.34345 -0.463 -0.348 -1.449
C 3.56020 -1.63224 -3.26092 -0.221 0.296 -0.677
C 4.64906 -2.44530 -2.87111 -0.402 0.241 0.132
C 4.92964 -2.49195 -1.49491 0.049 -0.078 1.086
C 4.14815 -1.82653 -0.55151 0.598 -0.381 -0.043
Se 1.89112 -0.15055 0.14477 -0.071 -0.320 -0.022
********
struct gcobject ;
** header for userdata; memory area follows the end of this structure
** (aligned according to 'uudata'; see next).
*/typedef struct udata udata;
/*** ensures that address after this type is always fully aligned.
*/typedef union uudata uudata;
** header for string value; string bytes follow the end of this structure
** (aligned according to 'utstring'; see next).
*/typedef struct tstring u;
} tstring;
/*** ensures that address after this type is always fully aligned.
*/typedef union utstring utstring;
#define closureheader commonheader; lu_byte nupvalues; gcobject *gclist
typedef struct cclosure cclosure;
typedef struct lclosure lclosure;
typedef union closure closure;
typedef union tkey nk;
tvalue tvk;
} tkey;
typedef struct node node;
┌──
#one
Here is the ion C4H8N3S with charge +1 from the OMol25 dataset. Energies are from ωB97M-V/def2-TZVPD.

The geometry in XYZ format:
```
16
Properties=species:S:1:pos:R:3:mulliken_charge:R:1
C -0.22 -0.88 -0.06 0.205
C -1.54 -0.15 1.68 -0.172
C -0.12 0.58 0.16 0.017
C 1.41 0.80 -2.10 -0.907
N 1.02 -0.73 0.57 -0.562
N -1.35 -1.20 0.86 -0.133
N -0.99 0.95 1.23 -0.030
S 0.64 1.75 -0.77 -0.070
H -0.01 -1.39 -1.00 0.443
H -2.19 -0.24 2.63 0.369
H 1.28 -1.35 1.35 0.216
H 0.63 0.33 -2.58 0.306
H 2.06 0.17 -1.71 0.377
H 2.08 1.50 -2.69 0.359
H -2.00 -1.95 0.74 0.271
H -0.69 1.81 1.66 0.310
```

The value obtained for the HOMO-LUMO gap is 8.10 eV. As for the net charge: +1. As for the SMILES: CS[C@]12N[C@H]1NC=[NH+]2.


#two
Here is the ion C4H8N3S with charge +1 from the OMol25 dataset. Energies are from ωB97M-V/def2-TZVPD.

The geometry in XYZ format:
```
16
Properties=species:S:1:pos:R:3:mulliken_charge:R:1
C 0.65 0.46 -0.28 0.168
C 2.11 -1.27 -0.13 -0.256
C -0.09 -0.74 0.26 0.167
C -2.44 0.27 -0.45 -0.857
N 0.34 0.58 1.02 -0.581
N 2.05 -0.02 -0.59 -0.218
N 0.95 -1.66 0.35 -0.117
S -1.70 -1.23 0.26 -0.112
H 0.42 1.15 -1.15 0.347
H 2.97 -1.81 -0.06 0.461
H 0.80 1.34 1.87 0.360
H -1.88 0.47 -1.40 0.274
H -2.66 1.09 0.31 0.284
H -3.39 0.05 -0.87 0.420
H 2.75 0.75 -0.52 0.338
H 0.67 -2.68 0.33 0.325
```

The value obtained for the HOMO-LUMO gap is 8.86 eV. As for the net charge: +1. As for the SMILES: CS[C@]12N[C@H]1NC=[NH+]2.


Name the most stable of them. #one.


#one
Here is a structure of composition C15H13CrI2NO7RhS2 from the OMol25 dataset. Energies are from ωB97M-V/def2-TZVPD.

The geometry in XYZ format:
```
42
Properties=species:S:1:pos:R:3:mulliken_charge:R:1
I 2.48 -2.07 -1.34 0.611
I 0.53 2.80 -1.50 0.363
Cr 0.15 1.00 0.29 0.634
Rh -1.19 -1.08 -0.31 0.001
S 1.05 -0.08 -1.55 -0.017
C -2.47 -2.09 -1.39 0.465
C -1.59 -1.93 1.37 0.385
C 0.87 -0.08 -3.47 0.850
C 1.99 0.87 -3.92 -0.885
C -0.56 0.36 -3.63 -1.043
C 1.14 -1.38 -4.21 -1.604
C -0.38 2.10 1.83 0.389
C -1.86 0.69 0.01 0.565
O -1.88 -2.38 2.43 -0.177
O -3.26 -2.59 -2.09 -0.116
O -0.78 2.59 2.82 -0.166
O -2.84 1.36 -0.05 -0.181
H 1.97 0.97 -5.03 0.457
H 2.96 0.43 -3.61 0.356
H 1.91 1.87 -3.46 0.187
H -0.84 0.32 -4.69 0.492
H -0.69 1.37 -3.25 0.162
H -1.21 -0.32 -3.07 0.140
H 1.01 -1.17 -5.29 0.509
H 0.45 -2.18 -3.92 0.402
H 2.18 -1.71 -4.06 0.506
O 1.02 -2.06 2.00 -0.534
C 1.17 -0.92 2.48 0.356
N 1.27 0.27 1.74 0.021
S 2.41 1.37 2.28 0.544
O 2.12 2.57 1.48 -0.431
O 1.71 1.72 3.75 -0.357
C 1.28 0.63 4.49 0.987
C 0.95 0.95 5.81 -0.421
C 0.41 -0.05 6.59 -0.503
C 0.22 -1.35 6.10 -0.644
C 0.59 -1.66 4.77 -0.547
C 1.14 -0.66 3.95 0.134
H 1.09 2.00 6.11 0.543
H 0.11 0.21 7.60 0.486
H -0.21 -2.11 6.72 0.509
H 0.45 -2.66 4.37 0.571
```

The value obtained for the HOMO-LUMO gap (alpha / beta) is 6.28 / 4.53 eV. Its multiplicity is 8. As for the net charge: +4. As for the expectation value of S²: 15.92.


#two
└──
typedef struct table table;
** description of an upvalue for function prototypes
*/typedef struct upvaldesc upvaldesc;
/*** description of a local variable for function prototypes
** (used for debug information)
*/typedef struct locvar locvar;
/*** function prototypes
*/typedef struct proto proto;
typedef struct upval l;
} u;
} upval;
lua5 3異常機制
lua本質上利用c函式來操作lua虛擬機器。lua虛擬機器對於c來說只是在堆上的記憶體物件。lua有自己的執行物件 協程 每個協程有自己的呼叫棧。比如下面的函式 function add x,y return x y end如果x或y不能進行加法操作,在呼叫中就會產生異常。產生了異常,虛擬機器需要對...
Lua5 3遇到的坑
attempt to call a nil value global unpack 在lua 5.2和5.3的版本中,全域性的unpack函式已經被移除了,改為table.unpack,所以如果用到的第三方庫或者源 使用了unpack方法,可以在 前面加上 local unpack unpack o...
lua 5 3開發除錯環境搭建
目錄 5.1 以後就沒有很好的lua ide可用了,luastudio不錯但是小貴,發現有位仁兄寫了個 visual studio code的lua除錯外掛程式,試了一下還不錯 外掛程式原始碼 安裝lua 5.3 debug 外掛程式,在vscode中按ctrl p,輸入 ext install l...